# Source
┌──
(1)
Here is a cluster of 2 separate species, C14H20N in total at a distorted geometry from OMol25. Energies are from ωB97M-V with the def2-TZVPD basis set.

Summary:
Energy above the lowest of the compared OMol25 structures with the same formula, charge and spin, kcal/mol: 111.82
Net charge: +1

Cartesian coordinates (Å):
C1 3.862 0.549 -0.169
C2 3.157 0.540 -1.406
C3 3.320 0.307 1.055
C4 1.807 0.494 -1.364
C5 1.886 0.289 1.154
C6 1.124 0.432 -0.083
C7 -1.383 -2.412 0.469
C8 -0.748 -2.196 -0.677
C9 1.019 0.387 2.233
C10 -0.364 0.409 1.664
C11 -0.194 0.498 0.189
C12 0.693 -2.415 -0.629
C13 -2.513 0.869 0.379
C14 -1.310 1.997 -1.414
N1 -1.354 0.808 -0.610
H1 4.902 0.741 -0.293
H2 3.830 0.625 -2.221
H3 3.936 0.250 1.941
H4 1.345 0.458 -2.350
H5 -0.819 -2.885 1.272
H6 -2.468 -2.445 0.517
H7 -1.260 -1.840 -1.686
H8 1.446 0.546 3.277
H9 -1.022 -0.483 1.828
H10 -0.890 1.287 2.068
H11 1.151 -2.116 0.412
H12 0.862 -3.480 -0.726
H13 1.360 -1.937 -1.405
H14 -3.375 1.085 -0.158
H15 -2.642 -0.142 0.707
H16 -2.423 1.626 1.082
H17 -0.442 2.565 -1.247
H18 -1.318 1.702 -2.505
H19 -2.112 2.695 -1.139
H20 -1.282 -0.094 -1.140

(2)
Here is a cluster of 2 separate species, C14H20N2O in total at a distorted geometry from OMol25. Energies are from ωB97M-V with the def2-TZVPD basis set.

Summary:
Energy above the lowest of the compared OMol25 structures with the same formula, charge and spin, kcal/mol: 139.79
Structure (SMILES): Cc1c[nH]c2ccccc12.CCN(C)C(C)=O
Net charge: 0

Cartesian coordinates (Å):
C1 2.491 -0.068 2.362
C2 1.917 0.669 1.114
C3 0.854 1.639 0.945
N1 0.670 1.958 -0.419
C4 1.533 1.063 -1.138
C5 1.496 0.543 -2.482
C6 2.282 -0.456 -2.835
C7 3.037 -1.339 -1.948
C8 2.882 -0.900 -0.700
C9 2.298 0.262 -0.173
H1 2.330 0.617 3.261
H2 3.521 -0.219 2.287
H3 1.872 -0.921 2.354
H4 0.599 2.041 1.944
H5 0.078 2.621 -0.647
H6 0.697 1.025 -3.018
H7 2.568 -0.647 -3.828
H8 3.757 -2.120 -2.227
H9 3.439 -1.597 0.008
C10 -0.522 -1.860 0.361
C11 -2.035 -1.798 0.030
N2 -2.559 -0.603 0.784
C12 -2.081 -0.456 2.205
C13 -3.077 0.493 0.185
C14 -4.358 0.933 0.892
O1 -2.630 0.773 -0.942
H10 -0.357 -2.821 0.923
H11 0.073 -1.172 1.055
H12 0.011 -2.204 -0.510
H13 -1.907 -1.702 -1.134
H14 -2.836 -2.683 0.351
H15 -2.666 -1.228 2.965
H16 -1.045 -0.651 2.447
H17 -2.196 0.520 2.647
H18 -4.654 1.959 0.479
H19 -5.035 0.187 0.759
H20 -4.288 0.982 1.954

(3)
Here is an isolated molecule of C14H20N2O6S at a distorted geometry from OMol25. Energies are from ωB97M-V with the def2-TZVPD basis set.

Summary:
Energy above the lowest of the compared OMol25 structures with the same formula, charge and spin, kcal/mol: 9.55
Structure (SMILES): COCCNC(=O)CN(C)S(=O)(=O)c1ccc2c(c1)OCCO2
Net charge: 0

Cartesian coordinates (Å):
C1 2.947 -2.678 1.052
O1 3.644 -1.453 1.030
C2 3.647 -0.779 -0.204
C3 2.330 -0.057 -0.528
N1 1.393 -0.909 -1.224
C4 0.660 -0.475 -2.266
O2 0.752 0.633 -2.754
C5 -0.329 -1.530 -2.772
N2 -1.577 -1.472 -2.038
C6 -2.654 -0.682 -2.580
S1 -1.530 -1.773 -0.414
O3 -0.510 -2.774 -0.217
O4 -2.865 -2.071 0.005
C7 -0.990 -0.313 0.492
C8 -0.389 -0.544 1.717
C9 0.060 0.522 2.472
C10 -0.106 1.824 2.011
C11 -0.769 2.051 0.796
C12 -1.199 0.970 0.034
O5 -1.021 3.308 0.331
C13 -0.830 4.319 1.299
C14 0.468 4.074 2.064
O6 0.396 2.847 2.761
H1 3.262 -3.326 0.226
H2 1.861 -2.546 1.006
H3 3.205 -3.152 1.997
H4 4.443 -0.037 -0.110
H5 3.898 -1.469 -1.024
H6 1.896 0.308 0.410
H7 2.518 0.793 -1.187
H8 1.123 -1.786 -0.793
H9 0.088 -2.532 -2.642
H10 -0.541 -1.352 -3.827
H11 -2.335 0.332 -2.838
H12 -3.439 -0.652 -1.827
H13 -3.046 -1.168 -3.477
H14 -0.267 -1.560 2.056
H15 0.555 0.372 3.418
H16 -1.683 1.174 -0.904
H17 -0.801 5.264 0.755
H18 -1.672 4.323 2.004
H19 0.640 4.846 2.816
H20 1.307 4.052 1.357

(4)
Here is a cluster of 3 separate species, C14H20N3O2 in total at a distorted geometry from OMol25. Energies are from ωB97M-V with the def2-TZVPD basis set.

Summary:
Net charge: -1

Cartesian coordinates (Å):
C1 -1.781 -3.153 -1.935
C2 -0.828 -1.937 -2.093
C3 -1.243 -0.800 -1.116
└──
# Wanted
Give back every line further up that contains the word "Energy".
# Result
Energy above the lowest of the compared OMol25 structures with the same formula, charge and spin, kcal/mol: 111.82
Energy above the lowest of the compared OMol25 structures with the same formula, charge and spin, kcal/mol: 139.79
Energy above the lowest of the compared OMol25 structures with the same formula, charge and spin, kcal/mol: 9.55